SO3 is an oxide of sulfur and is the primary pollutant present in the atmosphere. When mixed with water vapors in the air, Sulfur trioxide leads to the formation of sulfuric acid, thus contributing to acid rain formation. A lot of students ask about the polarity of the so3 molecule. The SO3 molecule shows nonpolar nature as the electron sharing among the sulfur and oxygen molecules is equal, and thus no dipoles are created. If a student asks about the examples of polar compounds, the very first name came to our mind is PCl3

The SO3 due to its trigonal planar shape is a nonpolar bond each S-O atom bonded with each other at a directed 120° canceling the singular polarity of S-O electronegativity difference. Hence SO3 is considered as a nonpolar linkage
........
Starting from a GGA-PBE-relaxed structure, the X-ray powder pattern of Sm4Te5Se was simulated for copper Kα.

Structural model:
Lattice parameters (Å, degrees): 9.8649 9.8649 8.8262 103.69 103.69 25.68
Fractional positions:
Sm 0.0026 0.0026 0.2503
Sm 0.3300 0.3300 0.9018
Sm 0.6700 0.6700 0.0982
Sm 0.9974 0.9974 0.7497
Te 0.1641 0.1641 0.3374
Te 0.1639 0.1639 0.8365
Te 0.5000 0.5000 0.5000
Te 0.8361 0.8361 0.1635
Te 0.8359 0.8359 0.6626
Se 0.5000 0.5000 0.0000

The 10 most intense peaks (2θ = 10–80°), most intense first:
- 28.70 deg, intensity 100.0
- 40.86 deg, intensity 38.6
- 41.22 deg, intensity 37.3
- 50.96 deg, intensity 13.5
- 59.43 deg, intensity 12.8
- 67.02 deg, intensity 11.4
- 67.61 deg, intensity 11.0
- 15.65 deg, intensity 9.2
- 74.83 deg, intensity 8.4
- 10.33 deg, intensity 8.2



Starting from a GGA-PBE-relaxed structure, the X-ray powder pattern of Pu4CO3 was simulated for copper Kα.

Structural model:
Lattice parameters (Å, degrees): 12.4949 12.4949 12.4949 16.49 16.49 16.49
Fractional positions:
Pu 0.1277 0.1277 0.1277
Pu 0.2951 0.2951 0.2951
Pu 0.7049 0.7049 0.7049
Pu 0.8723 0.8723 0.8723
C 0.5000 0.5000 0.5000
O 0.0000 0.0000 0.0000
O 0.2358 0.2358 0.2358
O 0.7642 0.7642 0.7642

The 10 most intense peaks (2θ = 10–80°), most intense first:
- 31.26 deg, intensity 100.0
- 33.50 deg, intensity 92.6
- 28.98 deg, intensity 54.6
- 59.71 deg, intensity 47.6
- 50.98 deg, intensity 46.6
- 29.18 deg, intensity 37.3
- 51.31 deg, intensity 24.5
- 55.77 deg, intensity 23.8
- 62.38 deg, intensity 16.4
- 61.03 deg, intensity 15.8



Starting from a GGA-PBE-relaxed structure, the X-ray powder pattern of Pm2Pa4Rh9 was simulated for copper Kα.

Structural model:
Lattice parameters (Å, degrees): 4.5894 4.5894 17.1564 90.00 90.00 120.00
Fractional positions:
Pm 0.3333 0.6667 0.2512
Pm 0.6667 0.3333 0.7488
Pa 0.3333 0.6667 0.5999
Pa 0.3333 0.6667 0.9087
Pa 0.6667 0.3333 0.0913
Pa 0.6667 0.3333 0.4001
Rh 0.0000 0.0000 0.0000
Rh 0.0000 0.0000 0.1650
Rh 0.0000 0.0000 0.3410
Rh 0.0000 0.0000 0.6590
Rh 0.0000 0.0000 0.8350
Rh 0.3333 0.6667 0.0797
Rh 0.3333 0.6667 0.4319
Rh 0.6667 0.3333 0.5681
Rh 0.6667 0.3333 0.9203

The 10 most intense peaks (2θ = 10–80°), most intense first:
- 39.26 deg, intensity 100.0
- 38.80 deg, intensity 72.6
- 27.33 deg, intensity 48.2
- 70.86 deg, intensity 24.5
- 56.38 deg, intensity 24.4
- 51.03 deg, intensity 19.2
- 71.17 deg, intensity 17.4
- 64.11 deg, intensity 16.2
- 20.71 deg, intensity 14.7
- 78.89 deg, intensity 14.3



Starting from a GGA-PBE-relaxed structure, the X-ray powder pattern of CaNdGa2Au5 was simulated for copper Kα.

Structural model:
Lattice parameters (Å, degrees): 4.5294 4.5294 9.0682 90.00 90.00 90.00
Fractional positions:
Ca 0.0000 0.0000 0.0000
Nd 0.0000 0.0000 0.5000
Ga 0.5000 0.5000 0.3644
Ga 0.5000 0.5000 0.6356
Au 0.0000 0.5000 0.2265
Au 0.0000 0.5000 0.7735
Au 0.5000 0.0000 0.2265
Au 0.5000 0.0000 0.7735
Au 0.5000 0.5000 0.0000

The 10 most intense peaks (2θ = 10–80°), most intense first:
........
The confusion among the students is pretty obvious regarding the polarity of the so3 molecule. This confusion is due to the difference in electronegativity between oxygen and sulfur molecules. The electronegativity difference may cause any molecule to be polar. Still, in this case, the three S-O bonds lie at 120° making the shape trigonal planar, and thus the sulfur trioxide molecule is nonpolar.
The geometry of the so3 molecule is like an asymmetrical structure with the sulfur atom bonded with three oxygen atoms to give a trigonal planar arrangement. The lewis structure of so3 explained the shape with sulfur atoms surrounded by three oxygen atoms.
If we look at the electronegativity difference between sulfur and oxygen the so3 molecule must be a dipole but in general, it is not a dipole due to its shape as all the three S-O bonds cancel each other polarity
Sulfur trioxide exists in all three physical states like solid, liquid, and gas. In a solid-state, it occurs in the form of crystals, but in the majority, it is found in nature in gaseous form. Though it is regarded as one of the major air pollutants, the primary source is the exhaust of automobiles and chimneys of the factories.
The shape of sulfur trioxide is trigonal planar with an S-O bond angle of 120° each

The oxygen and sulfur both have 6 valence electrons, and each oxygen atom has two lone pairs of electrons that turn into a regular asymmetric molecule. The usual S-O atom is polar in nature but each bond cancels the polarity of each bond making SO3 a nonpolar entity.
Another explanation of the nonpolar behavior of so3 is the equal sharing of electrons between the sulfur and oxygen atoms. In simple terms, the molecule is termed as polar when there is unequal sharing of electrons between both bonded atoms but in this case, each atom has equal electron sharing thus the so3 molecule is considered as a polar molecule.
Why is SO3 nonpolar?
In Fact, the large electronegativity difference between Sulfur and oxygen makes a single S-O bond polar but the three S-O bonds with a bond angle of 120° cancel the individual’s polarity and hence make the sulfur trioxide a nonpolar molecule. So the confusion regarding SO3 polar or nonpolar is cleared by this explanation.
Chemical Formula of Sulfur trioxide
Sulfur trioxide is chemically written as SO3 and is commonly known as sulfuric oxide or sulfuric anhydride.
Geometry of SO3
The shape of the molecule explains the nature, as depicted by the trigonal planar shape with a 120° S-O bond angle. The shape of SO3 atoms is asymmetric, and thus the net electron cloud distribution is zero.
SO3 molecular shape
The three oxygen and sulfur bonds in a sulfur trioxide give them a trigonal planar shape, and the pure symmetry of these molecules makes it a nonpolar compound. Usually, the significant differences in electronegativity yield polarity in any molecule, but in this case, the molecule’s shape explicitly explained the nonpolar behavior of SO3.
Students most of the time confuses about whether so3 is polar or nonpolar due to the high S-O electronegative difference. Sulfur trioxide is one of the major air pollutants and the main source of it is the burning of fuel in an automobile engine. When mixed with water vapors in the air it forms sulfuric acid and leads to the formation of acid rain. It is a nonpolar molecule because the shape of the molecule cancels the high polar S-O bonds and makes it a nonpolar molecule despite the large electronegativity difference between oxygen and sulfur molecules.